Assignment =
Your job: duplicate the lines below from the one with "0.3568) (multiplicity" to the one with "0.8890) (multiplicity" unchanged.
Data =
+++
Theoretical X-ray diffraction stick pattern of Ac2La3Pm4 for a wavelength of 1.5418 Å, from a GGA-PBE-relaxed structure.
Kinematic intensities with the Lorentz-polarization factor, no thermal factor.

Atomic structure:
a = 3.7667 Å, b = 3.7667 Å, c = 27.9484 Å
α = 90.00°, β = 90.00°, γ = 120.00°
Space group P3m1 (No. 156)
Symmetry-distinct sites (fractional):
Ac (0.0000, 0.0000, 0.0000) (multiplicity 1)
Ac (0.0000, 0.0000, 0.2295) (multiplicity 1)
La (0.0000, 0.0000, 0.7825) (multiplicity 1)
La (0.3333, 0.6667, 0.1170) (multiplicity 1)
La (0.3333, 0.6667, 0.4604) (multiplicity 1)
Pm (0.0000, 0.0000, 0.3568) (multiplicity 1)
Pm (0.0000, 0.0000, 0.5713) (multiplicity 1)
Pm (0.3333, 0.6667, 0.6734) (multiplicity 1)
Pm (0.3333, 0.6667, 0.8890) (multiplicity 1)

Largest 8 diffraction maxima, low angle first, 15° ≤ 2θ ≤ 90°:
| 2θ (°) | d_spacing | I (rel.) | h k l |
| --- | --- | --- | --- |
| 27.3 | 3.262 | 50.7 | 1 0 0 |
| 28.7 | 3.105 | 44.1 | 0 0 9 |
| 30.2 | 2.956 | 58.1 | 1 0 4 |
+++
Outcome =
Pm (0.0000, 0.0000, 0.3568) (multiplicity 1)
Pm (0.0000, 0.0000, 0.5713) (multiplicity 1)
Pm (0.3333, 0.6667, 0.6734) (multiplicity 1)
Pm (0.3333, 0.6667, 0.8890) (multiplicity 1)